Academic Writing for Publication
Call for applications
Academic Writing for Publication is a joint course for the faculty members from Comenius University in Bratislava and Masaryk University
This call was announced: 12 October 2021
Deadline for applications: Friday, 12 November 2021
Notification of acceptance: Monday, 3 December 2021
Total number of participants: 12 from Masaryk University
Introduction, course rationale
The axiom ‘publish or perish’ is a well-established reality in academia. An added challenge, however, is the requirement to publish in internationally acknowledged publications, which are most often in English. Unfortunately, many academics at European universities lack the writing skills required by such publications as the development of academic writing skills is often neglected in European graduate and postgraduate programmes. As a result, not only are university teachers hindered in their own career growth, but meaningful research is unable to reach the wider scientific and academic community.
Aims of the course
To address these challenges, the intensive five-day* Academic Writing for Academics course of the IMPACT project seeks to facilitate the acquiring and development of academic writing skills among participating faculty members in order to improve each’s existing draft article in English for submission for publication in English. The course also seeks to prepare participants to incorporate a writing component into their courses.
Expected learning outcomes
By the end of this course, participants will be able to:
- Understand the principles and process of writing scholarly articles in English, including the recognition of various concepts, components, and stages of the writing process in English from draft to submission
- Apply the principles and processes of academic writing to their own writing
- Critically evaluate English-language scholarly articles written by others
- Design writing activities for their students that incorporate the concepts and principles of academic writing learnt in this course
Course format and structure
Depending on the COVID-19 situation, the course can take one of two forms: a face-to-face 5-day course held at Masaryk University (Brno, CZ), or an online course meeting via Zoom every other day for 10 days. The initial decision about this will be made on 21 October 2021. The move to online is always a possibility considering the fluidity of the current pandemic situation.
The course aims to be practical and seeks to facilitate the acquiring and development of academic writing skills among participating university instructors. The entire course respects the principles of active learning with a stress on critical reading and thinking, group work, peer-learning, and process writing. Participants’ contribution to class work is essential for their successful learning.
Each of the five course days consists of three 90-minute sessions (two before lunch and one after), for a total of 22.5 contact hours. Also included are short afternoon writing assignments to be completed either individually or in groups. Participants are also offered afternoon sessions with an instructor for individual help on their draft.
The Masaryk University Information System is used for online course management, with assignments and resources posted by the course instructors, completed assignments uploaded by participants, and feedback provided in the MUNI IS.
The course allows for a cohort of 20 participants at one time. Each participant brings a laptop or digital device on which they can conveniently access Wi-Fi, read online documents, and type.
Course dates and location
Two possibilities:
Face-to-face course: 24-28 January 2022
Location: Faculty of Arts, Masaryk University, Arna Nováka 1, 602 00 Brno (CZ).
Online via Zoom: 24 January-3 February 2022 (every other day)
A certificate of completion will be awarded to each participant who:
- attends 90% of the course;
_The text is interrupted by molecular data_
1.
Molecular formula: C25H35AsN3O2P2Ru
Method: DFT, ωB97M-V with the def2-TZVPD basis set

Each line ends with the Löwdin charge.
Atoms and positions in Å:
Ru 7.73 8.39 9.16  0.840
As 9.95 9.21 8.11  1.046
P 6.22 7.22 10.66  0.833
P 7.32 6.46 7.77  0.750
O 4.65 12.85 12.89  0.174
O 4.16 13.06 15.15  0.244
N 9.13 8.13 10.97  -0.074
N 6.75 10.16 7.97  -0.007
N 7.60 10.26 10.48  0.036
C 6.68 7.14 12.41  -0.215
C 8.50 5.87 6.49  -0.221
C 6.47 10.15 6.67  -0.164
C 10.96 7.95 13.03  0.037
C 7.03 5.10 8.97  -0.382
C 6.40 11.24 8.68  -0.224
C 9.18 9.14 11.91  -0.237
C 9.91 7.06 11.06  -0.154
C 6.91 11.35 10.06  -0.184
C 6.76 12.48 10.86  0.012
C 5.40 12.26 6.76  0.038
C 4.36 12.97 14.01  -0.383
C 8.36 11.50 12.37  0.035
C 5.96 5.51 10.01  -0.353
C 4.48 7.96 10.74  -0.180
C 11.40 7.85 7.75  -0.220
C 10.09 9.07 12.97  0.046
C 5.80 11.14 6.01  -0.001
C 5.72 6.64 6.89  -0.216
C 10.79 10.48 9.24  -0.272
C 5.72 12.31 8.14  0.044
C 9.80 10.12 6.39  -0.244
C 8.32 10.31 11.60  -0.226
C 10.89 6.98 12.02  -0.006
C 7.50 12.51 12.02  0.180
H 8.02 4.82 9.41  0.090
H 7.48 6.49 12.68  0.053
H 6.20 13.30 10.49  0.107
H 11.52 6.11 11.98  0.124
H 6.73 4.21 8.37  0.116
H 11.00 7.19 6.93  0.026
H 11.72 7.24 8.62  0.046
H 4.97 5.49 9.55  0.093
H 5.79 6.85 12.95  0.076
H 4.94 7.12 7.51  0.054
H 9.47 5.64 6.99  0.048
H 5.62 11.05 4.93  0.141
H 10.10 11.32 9.32  0.034
H 11.72 7.90 13.81  0.140
H 11.70 10.84 8.69  0.077
H 5.31 5.66 6.67  0.068
H 6.01 4.82 10.86  0.105
H 9.14 10.98 6.45  0.031
H 10.08 9.86 13.70  0.123
H 10.84 10.33 6.07  0.065
H 5.92 7.12 5.95  0.038
H 6.89 8.17 12.69  0.042
H 9.78 6.30 10.30  0.105
H 6.73 9.25 6.11  0.102
H 5.41 13.12 8.79  0.123
H 4.58 8.87 11.35  0.054
H 8.67 6.57 5.68  0.051
H 8.99 11.51 13.27  0.123
H 4.83 13.07 6.29  0.142
H 4.13 8.22 9.78  0.023
H 9.33 9.42 5.71  0.019
H 8.07 4.90 6.13  0.082
H 11.00 10.04 10.21  0.030
H 3.84 7.22 11.22  0.076
H 12.23 8.41 7.41  0.021

**HOMO-LUMO gap (spin up / spin down)**: 7.977 / 6.819 eV
**Total charge**: +3
**Energy above the lowest of the compared OMol25 structures with the same formula, charge and spin**: 0.0 kJ/mol
**⟨S²⟩**: 6.03
**Highest occupied orbital energy (spin up / spin down)**: -0.626 / -0.644 Eh
**Lowest unoccupied orbital energy (spin up / spin down)**: -0.3326 / -0.3932 hartree
**2S+1**: 5

2.
Molecular formula: C25H35AuIN5OP
Method: DFT, ωB97M-V with the def2-TZVPD basis set

Each line ends with the Löwdin charge.
Atoms and positions in Å:
Au -0.50 -0.42 -1.05  1.014
I -4.95 0.25 0.40  0.944
P 0.48 0.25 0.98  0.991
O -1.80 1.59 -0.66  -0.144
N 3.13 0.29 -0.52  0.131
N -3.27 3.21 -1.17  0.226
N -1.42 -0.79 -2.96  -0.377
N 2.06 -0.49 1.35  0.019
N 0.03 -2.65 -1.24  -0.330
C -1.71 -0.86 2.20  -0.143
C 1.12 2.72 -0.04  -0.123
C 0.81 4.04 2.40  -0.036
C -0.91 -2.10 -3.46  -0.162
C 5.61 -0.54 0.58  0.008
C -2.90 -0.83 -2.82  -0.065
C 1.33 4.08 0.04  -0.045
C -3.66 1.90 0.82  -0.522
C 5.53 0.14 -0.63  0.070
C -1.90 -1.32 4.55  -0.014
C 0.59 2.67 2.33  -0.060
C 3.21 -0.33 0.69  -0.338
- actively participates during the course;
- successfully completes the mandatory written assignments.
Course January 2021 Results
Twenty participants from Comenius University in Bratislava and Masaryk University attended the course. 18 completed all the required assignments and received certificates. Participants rated the course as excellent (9.1 out of 10 points) and extremely useful (9.1/10). They would very likely recommend the course to their colleagues (9.3/10).
Tentative detailed syllabus
Day One – Introduction to Academic Writing in English
Instructor: Angeniet Kam
Co-instructors for Session 1: Jan Beneš; Lyn Steyne
Overall objectives/aims
- Recognise and apply concepts in academic writing in English—such as genre, research question and thesis statement, disciplinary and interdisciplinary conventions, and components of journal articles—to your own writing
- Understand the principles of designing writing activities for your own teaching context
- Apply the principles of constructive feedback to a piece of academic writing
Session 1: Getting acquainted and creating a common vocabulary
Introduction of instructors, participants, and the course plan
Cultural, disciplinary, and interdisciplinary differences and requirements of academic writing in English compared to Czech/Slovak (instructors: Jan Beneš and Lyn Steyne)
Concepts: genre, purpose, audience, and the writing process
Session 2: Structural requirements of journal articles—a genre analysis approach
The components of research articles (genre analysis)
Introduction to research questions and thesis statements
Evaluation and comparison of your article with benchmark articles
Session 3: Incorporating writing activities into your own teaching context
Suitable writing activities for students of different levels
The benefits and obstacles of writing assignments
Understanding and using constructive feedback—an active exercise
Day Two – The Academic Introduction
Instructor: Eszter Timár
Overall objectives/aims
- Recognize and employ good practices in reading and writing introductions
- Recognize and employ good practices in raising research questions and formulating thesis statements
- Design and evaluate exercises for students that focus on raising research questions, making an argument, and structuring an introduction in your discipline
Session 1: The function and form of the introduction
The purpose of the introduction
The reader’s expectations
The elements and rhetorical moves in introductions (how to write an introduction)
Evaluation and comparison of your introduction with those in a benchmark article
Session 2: Research questions and thesis statements
A good research question (how to write a research question)
The relationship of the research question and the research methodology (disciplinary norms)
The thesis statement: its form and characteristics; its function—controlling the paper
Session 3: Incorporating the use of research questions, thesis statements, and introductions into your courses
Designing and presenting an activity to use in your own teaching context
Day Three – Organising Your Academic Article
Instructor: Lyn Steyne
Overall objectives/aims:
- Organise a journal article according to standard academic writing conventions
- Understand, recognise, and evaluate content for each section of an academic article based on their individual purpose
- Understand what is required to write an effective academic paragraph using a topic sentence and paragraph development
Session 1: How to organise your journal article
The title: its importance and relationship to the research questionIMRaD: The sections of a research article and their purpose
Outlining as a tool to develop your article
Session 2: How to write a paragraph
Characteristics of an effective English paragraph
The topic sentence
Paragraph development (coherence and cohesion)
Session 3: Incorporating writing skills into your courses for your benefit
Applying effective organisational, and coherence and cohesion strategies to academic texts
The usefulness of organisational, and coherence and cohesion strategies in your own teaching context
Designing and presenting an activity to use in a course you teach
Day Four – Effective and Fair Use of Sources
Instructor: Agnes Simon
Overall objectives/aims:
- Recognize and employ good practices in citation
- Classify, analyse, and appraise the relevant literature so that it furthers the argumentation of your article
- Design and evaluate exercises for your students that focus on either the fair use of sources or the literature review
Session 1: Academic norms and Integrity
Academic norms and the practice of citations
Plagiarism and its consequences
Reporting ethically on other people’s work in your article
Session 2: The literature review
The function and purpose of the literature review
Making the literature review effective
The critical evaluation of literature reviews
Strategizing and working on revising your literature review
Session 3: Incorporating the effective and fair uses of sources and the literature review in your teaching
Identifying and pre-empting plagiarism in students’ work
Tips for effective exercise design
Designing an exercise for students on citation or reviewing the literature
Day Five – Conclusions, abstracts, and getting published
Instructor: Jan Beneš
Overall objectives/aims:
- Better understand academic journals: writing for a specific journal, communicating with journal editors, and recognising predatory journals and predatory practices
- Apply skills acquired during previous sessions to writing and evaluating conclusions and abstracts, keeping the differences between Czech/Slovak and English conclusions in mind
- Discuss, brainstorm, and evaluate writing activities on conclusions and abstracts for use in your own teaching context
Session 1: Scholarly Journals’ Expectations
Q&A with the editor of a peer-reviewed journal
Expectations: how to choose a journal, how to prepare your article, journals’ expectations
Predatory journals: examples and how to spot one
Session 2: Academic conclusions and abstracts
The purpose of conclusions and abstracts
English vs Czech/Slovak conclusions
Summarizing, paraphrasing, outlining, and thesis statements in conclusions and abstracts
Session 3: Incorporating conclusions and abstracts into your teaching; Closing reflections
Strategies in teaching conclusions
Reflecting on skills learned
Looking forward: setting writing targets
Presentation of certificates
Selected bibliography
Bean, John: Engaging Ideas: The Professor's Guide to Integrating Writing, Critical Thinking, and Active Learning in the Classroom, 2nd Edition. Jossey-Bass: 2011.
Belcher, Wendy Laura: Writing Your Journal Article in Twelve Weeks, Second Edition: A Guide to Academic Publishing Success. Chicago Guides to Writing, Editing, and Publishing, 2019.
Birkenstein, Cathy, and Gerald Graff. They Say, I Say: The Moves That Matter in Academic Writing, 3rd edition. Norton, 2016.
McCarthy Michael and Felicity O’Dell: Academic Vocabulary in Use with Answers. Cambridge University Press, 2017.
Swales, John and Christine Feak: Academic Writing for Graduate Students, 3rd Ed. Michigan, 2012.
Swales, John and Christine Feak: Creating Contexts: Writing Introductions Across Genres. Michigan: 2011
Swales, John: Research Genres: Explorations and Applications. Cambridge, 2004.
Course Instructors
The team of instructors consists of the following experienced international tutors:
- Jan Beneš – Faculty of Arts, University of Ostrava (Czech Republic)
- Angeniet Kam – Delft Centre for Languages and Academic Skills, Delft University of Technology (Netherlands)
- Agnes Simon – Pedagogical Competence Development Centre (CERPEK), Masaryk University (Czech Republic)
- Linda M. Steyne – Faculty of Arts, Comenius University in Bratislava (Slovakia)
- Eszter Timár – Central European University (Hungary)
Application Process
Who can apply?
Faculty members currently doing research for publication and teaching in the social sciences and humanities at Comenius University in Bratislava and Masaryk University are eligible to apply for the course. PhD candidates from the same fields and institutions are also eligible. All PhD students who successfully complete the course receive 3 ECTS.
Each applicant must have a draft of a journal article in English at the time of application and should also have experience in writing for publication, in either their mother tongue or English.
How to apply?
Applications must be in English and include the following documents:
- Curriculum vitae (1-2 pages) highlighting your teaching and research interests, and a list of your highest impact publications
- Motivation letter (400-600 words) making sure to include the answers to the following questions:
What has motivated you to apply for this course?
How do you believe your work as a scholar and as a teacher might benefit from taking this course? - Draft of an academic paper written in English by the applicant (if incomplete, please include a 1- to 2-page description in English of the research, including any sources you are working with, and stating where you are in the process.)
Applications should include a CV, motivation letter, and the draft of the academic paper. They are to be submitted by completing the following form.
If you have any questions, please email the course team leader:
Criteria for selecting the participants
We offer 10 places for teachers from Masaryk University. The following criteria will be used to select the course participants:
Applications will be evaluated on the following:
- The applicant’s level of interest in and motivation for taking the course
- Prior experience in writing for publication
- B2 minimum English language proficiency (this will be assessed based on the motivation letter)
After acceptance
Those accepted to the course will also submit three more documents at one time:
- The PDF of a recent peer-reviewed journal article in their field (published AFTER 2015) that they believe to be well-written
- A brief explanation (maximum of 300 words) on why they think that paper is well-written
- The currect revision of the draft they submitted with the application
Participants are welcome to discuss their application before submission with the MUNI course coordinator, Dr. Jitka Vidláková via email (
Our dedicated team is very much looking forward to receiving your application!

Teto kurz je realizován díky podpoře programu Erasmus+ Strategické partnerství
Projekt Improving Academic Teaching and Internationalisation through Enhanced Competences of University Teachers (IMPACT 2019-1-SK01-KA203-060671).